University Equity Leadership Council (UELC)

The purpose of University Equity Leadership Council (UELC) is to ensure that concerns about the Penn State campus climate, across the geography of the university, are represented at the highest levels of university leadership, and that we collaboratively and consistently prioritize the value of equity, respect, and belonging in our institution. The body is organized and led by the Vice Provost for Educational Equity and the Associate Vice Provost for Educational Equity and will have opportunities to engage with the Provost and President, and other offices as appropriate, on an annual basis.

Members of the UELC

Seria Chatters, Interim Vice Provost, UELC Committee Chair
Office of the Vice Provost for Educational Equity
314 Old Main | Phone: 814-865-5906

Ashley Patterson, Acting Assistant Vice Provost, UELC Committee Co-chair
Office of the Vice Provost for Educational Equity
313 Old Main | Phone: 814-865-5906

Applied Research Laboratory
1030D Applied Science Building | 814-865-2335

Athletics Diversity and Inclusion Designee
C106A Smith Building, 3000 Ivyside Park, Altoona, PA | Phone: 814-949-5100

College of Agricultural Sciences 
230 Agricultural Administration Building | Phone: 814-865-4244

The Donald P. Bellisario College of Communications
206A Carnegie Building | Phone: 814-863-7991

College of Earth and Mineral Sciences
204 Deike Building | Phone: 814-867-2455

College of Education 
279 Chambers Building | Phone: 814-865-3798

College of Engineering
404 Steidle Building | Phone: 814-689-9394

College of Health and Human Development 
5 Henderson Building | Phone: 814-863-1291

College of Information Sciences and Technology 
E103 Westgate Building | Phone: 814-863-3180

These materials data were left in the article by mistake:
<<<
Calculated X-ray diffraction stick pattern
Compound: Dy12Co6Hg
Radiation: λ = 1.5418 Å (Cu Kα)
Structure: a crystal structure in OQMD, relaxed with GGA-PBE
Intensities are scaled so that the largest is 100.

Peak list (10 most intense, 10° ≤ 2θ ≤ 80°, low angle first)
Position (°2θ)  I_rel  hkl
29.39  46  3 1 0
32.27  58  2 2 2
34.94  100  3 2 1
37.43  22  4 0 0
48.29  25  5 1 0
55.78  36  5 0 3
57.55  12  6 0 0
59.28  40  5 3 2
69.12  22  5 4 3
72.25  9  7 2 1

Cell and atoms:
```
data_Dy12Co6Hg
_chemical_formula_sum 'Dy24 Co12 Hg2'
_cell_length_a 9.6097
_cell_length_b 9.6097
_cell_length_c 9.6097
_cell_angle_alpha 90.00
_cell_angle_beta 90.00
_cell_angle_gamma 90.00
_space_group_name_H-M_alt 'I m -3'
_space_group_IT_number 204
_space_group_name_Hall '-I 2 2 3'
loop_
_atom_site_label
_atom_site_fract_x
_atom_site_fract_y
_atom_site_fract_z
Dy1 0.0000 0.1939 0.3024
Co1 0.0000 0.3865 0.5000
Hg1 0.0000 0.0000 0.0000
```
>>>

College of Liberal Arts
122 Sparks Building | Phone: 814-863-2510

Division of Development and Alumni Relations
116 Old Main | Phone: 814-863-4826

Eberly College of Science
117 Ritenour Building | Phone: 814-863-8900

Finance & Business
Business and Academic Services Building
Schuylkill Haven, PA, Room 14B | Phone: 570-385-6200

Government and Community Relations
117 Old Main, University Park | Phone: 814-865-6563

Human Resources  
331 Innovation Boulevard, Suite 101E | 814-865-9478  

Intercollegiate Athletics
105C Athletic Administration Building | Phone: 814-863-0429

Millennium Scholars Programs
106 Ritenour Building | Phone: 814-867-5105

Office of Graduate Educational Equity Programs  
111 Kern Graduate Building | Phone: 814-863-1663

Office of Undergraduate Admissions
210 Shields Building | Phone: 814-863-1412

Penn State College of Medicine
700 Crescent Road, Hershey, PA | Phone: 717-531-8521

Penn State Health
500 University Drive, Hershey, PA 17033 | Phone: 717-537-1015

Penn State Harrisburg
777 West Harrisburg Pike, W000 Swatara Building, Middletown, PA 17057 | Phone: 717-948-6297

Penn State Law
252E Katz Building | Phone: 814-867-1261

Penn State Outreach
324 Outreach Innovation Building

Penn State World Campus
128 Outreach Innovation Building | 800-252-3592

Someone pasted calculated crystals at this point.
┌──
Starting from a structure optimized by DFT (PBE), the powder diffraction line list of Sm4PdPt2 was computed for Cu Kα.
Peak positions follow from Bragg's law for the DFT cell and can differ from measured ones.

Cell and atoms:
```
Sm4PdPt2
1.0
-4.575 4.580 4.629
4.575 -4.580 4.629
4.575 4.580 -4.629
Sm Pd Pt
8 2 4
direct
0.198 0.256 0.557
0.198 0.641 0.943
0.256 0.198 0.057
0.359 0.802 0.557
0.641 0.198 0.443
0.744 0.802 0.943
0.802 0.359 0.057
0.802 0.744 0.443
0.125 0.875 0.250
0.875 0.125 0.750
0.000 0.500 0.500
0.500 0.000 0.000
0.500 0.500 0.000
0.500 0.500 0.500
```

The 10 most intense peaks (10 to 80 degrees two-theta), most intense first:
two_theta, intensity
└──

Ross and Carol Nese College of Nursing
201 Nursing Sciences Building, Room 32 | Phone: 814-863-8215

Schreyer Honors College
100 Simmons Hall | Phone: 814-863-4535

Smeal College of Business
203U Business Building | Phone: 814-865-0983

Student Affairs
LL011 HUB-Robeson Center | Phone: 814-865-2059

Undergraduate Education/Faculty Affairs
417 Old Main | 814-863-1864

University Police and Public Safety
172 University Support Building I | Phone: 814-865-4381

University Police and Public Safety
150 University Support Building | Phone: 814-863-3464

Revised 01-22-2025